Gail Simone

Image of Gail Simone
I have worked with a lot of great artists, including some of my heroes like Michael Golden, George Perez, and Jose Garcia Lopez, just to name a couple. I have been spoiled.
- Gail Simone
Image of Gail Simone
I love any books by Kelly Sue DeConnick or Marjorie M. Liu; it's lovely to have successful, talented female writers doing great work in comics.
- Gail Simone
Image of Gail Simone
I'm excited for Christy Marx taking over 'Birds of Prey'. I adore 'Rachel Rising' by the great Terry Moore. I'm also a stone cold Scott Snyder fan; the guy is a joy to read and a pleasure to work with.
- Gail Simone
Image of Gail Simone
Catman - what I really like about him is he's a really grounded character in terms of - he's an excellent tracker. We're giving him a set of new skills for 'Secret Six' as it starts again anew. But he's very sexy, very dangerous, unpredictable.
- Gail Simone
Image of Gail Simone
I think Tumblr tends to be - you can get more in-depth with things and more blogging, and Tumblr has been real great for me in terms of research because I have contacts with people from all walks of life all over the globe.
- Gail Simone
Image of Gail Simone
We have so many fantastic creators - female creators as well as male creators that have their own followings, their own fans, and their own books that are successful.
- Gail Simone
Image of Gail Simone
With 'Red Sonja', it's a single character leading a book although there's a supporting cast, whereas 'Secret Six' is basically six characters who have equal time and equal place in the book, so it's got a team dynamic that 'Red Sonja' doesn't have.
- Gail Simone
Image of Gail Simone
My career path is the weirdest thing. I was a hairdresser, I worked at Marvel for a few months, and then I was signed to a DC exclusive for eight years.
- Gail Simone
Image of Gail Simone
I love DC. I love the people there, and I am deeply in love with that universe, but it meant that for a long time, when other offers came up, I always had to turn them down.
- Gail Simone
Image of Gail Simone
I try to make every issue new-reader friendly. I remember being frustrated many times trying to pick up new series that were overladen with baggage. The trick is to make that backstory seem like something compelling that they will want to explore rather than an obstacle course they have to crawl through to get to the story.
- Gail Simone
Image of Gail Simone
The fishnets on Black Canary never bothered me: they fit her character. It's the same for me with the bikini... most people don't wear a lot of clothes in these stories, and it's a big part of what makes her instantly recognizable. Do I want her in a raincoat? Not really.
- Gail Simone
Image of Gail Simone
I get very invested in characters; it's the only way I find that I can write a book and really make it work.
- Gail Simone
Image of Gail Simone
I admire writers who can remain objective and distanced, but that doesn't seem to be in my toolbox somehow. I have to care, I have to have skin in the game.
- Gail Simone
Image of Gail Simone
Leaving a book is hard - 'Secret Six' was a book that people cared about. Even years later, the digital sales are great; the trades and single issues are expensive and highly sought after. It was meaningful to a lot of readers, which is endlessly gratifying.
- Gail Simone
Image of Gail Simone
I looked out into the audience, saw dozens of faces I knew well - LGBTQ folks, mostly - all avid comics readers and superhero fans and DC supporters, and it just hit me: Why was this so impossible? Why in the world can we not do a better job of representation of not just humanity, but also our own loyal audience?
- Gail Simone
Image of Gail Simone
It's time for a trans hero in a mainstream comic.
- Gail Simone
Image of Gail Simone
When I write a team book, it's all about how they relate to each other and what they bring to the team and the book. Whether it's Black Canary and Huntress or Bane and Scandal, I look for a relationship that people can believe in, that they want to follow and learn more about.
- Gail Simone
Image of Gail Simone
My favorite characters are always the unpredictable ones, and with Domino, you literally never know which way the dice are going to roll.
- Gail Simone
Image of Gail Simone
When I think about Plastic Man, he was genuinely the first funny super hero.
- Gail Simone
Image of Gail Simone
When you need to stop an asteroid, you get Superman. When you need to solve a mystery, you call Batman. But when you need to end a war, you get Wonder Woman.
- Gail Simone
Collection: War
Image of Gail Simone
Keep faith, trust to love, fight with honor, but fight to win.
- Gail Simone
Collection: Fighting
Image of Gail Simone
I write about heroes all the time, and I'm struck by how much of what fills us with wonder in the man-made world was the brainchild of a monster. I mean, slaves built most of the ancient wonders, our city skylines are dominated by the product of sometimes very ruthless capitalist ideals. There's a horrifying thought that I often wonder, which is, are monsters sometimes necessary?
- Gail Simone
Collection: Hero
Image of Gail Simone
Don't let the worst people you know dictate your behavior.
- Gail Simone
Collection: People
Image of Gail Simone
Your writing is still yours, no matter what the contract or your editor might say. Trust your gut. It knows when you're screwing up. Your brain will lie to you. It loves the paycheck, it loves positive feedback. Your gut is under no obligation to make you feel good.
- Gail Simone
Collection: Lying
Image of Gail Simone
There are writers who will do whatever they are told regardless of the circumstances - these are called 'hacks.' Your job isn't to make life difficult for your editor. But once a piece of crap goes out with your name on it, it is gone forever and will haunt you.
- Gail Simone
Collection: Jobs
Image of Gail Simone
I get very invested in characters, it's the only way I find that I can write a book and really make it work.
- Gail Simone
Collection: Book
Image of Gail Simone
Some people are worried about the future of comics and some people are busy building it. That latter group are my heroes.
- Gail Simone
Collection: Book
Image of Gail Simone
I admire writers who can remain objective and distanced, but that doesn't seem to be in my toolbox, somehow.
- Gail Simone
Collection: Toolbox
Image of Gail Simone
Being a bad writer a thousand times first.
- Gail Simone
Collection: Firsts
Image of Gail Simone
I love mixing humor and terror, or humor and exhaustion, or even humor and despair. I'm dealing right now with a loved one with cancer, and she's of course sad, but also telling the most disturbingly morbid jokes and puns. I love that, there's so much humanity in being able to mock fate and hardship.
- Gail Simone
Collection: Cancer
What comes next are crystal structures, not part of the article:
-- begin --
Record 1
Compound: K3InP
Source: Alexandria
Functional: PBE-GGA
Structure: relaxed

Properties
Calculated formation energy in eV/f.u.: 0.68
Relative energy among the computed polymorphs in eV per atom: 0.000

CIF file:
```
data_K3InP
_cell_length_a 6.265
_cell_length_b 6.265
_cell_length_c 6.265
_cell_angle_alpha 90.00
_cell_angle_beta 90.00
_cell_angle_gamma 90.00
_space_group_name_H-M_alt 'P 1'
_space_group_IT_number 1
loop_
_space_group_symop_operation_xyz
'x,y,z'
loop_
_atom_site_label
_atom_site_fract_x
_atom_site_fract_y
_atom_site_fract_z
_atom_site_occupancy
P1 0.000 0.000 0.000 1
K1 0.000 0.500 0.000 1
K2 0.000 0.000 0.500 1
K3 0.500 0.000 0.000 1
In1 0.500 0.500 0.500 1
```

Record 2
Compound: YCuIr2
Source: Alexandria
Functional: PBE-GGA
Structure: relaxed

Properties
Calculated formation energy in eV/f.u.: -0.74
Relative energy among the computed polymorphs in eV per atom: 0.105

CIF file:
```
data_YCuIr2
_cell_length_a 4.345
_cell_length_b 2.938
_cell_length_c 5.429
_cell_angle_alpha 76.06
_cell_angle_beta 90.00
_cell_angle_gamma 90.00
_space_group_name_H-M_alt 'P 1'
_space_group_IT_number 1
loop_
_space_group_symop_operation_xyz
'x,y,z'
loop_
_atom_site_label
_atom_site_fract_x
_atom_site_fract_y
_atom_site_fract_z
_atom_site_occupancy
Cu1 0.500 0.750 0.750 1
Ir1 0.000 0.907 0.965 1
Ir2 0.000 0.593 0.535 1
Y1 0.500 0.250 0.250 1
```

Record 3
Compound: Tb2Nd5Er
Source: Alexandria
Functional: PBE-GGA
Structure: relaxed

Properties
Calculated formation energy in eV/f.u.: 0.13
Relative energy among the computed polymorphs in eV per atom: 0.000

CIF file:
```
data_Tb2Nd5Er
_cell_length_a 5.133
_cell_length_b 7.253
_cell_length_c 14.518
_cell_angle_alpha 90.00
_cell_angle_beta 90.00
_cell_angle_gamma 90.00
_space_group_name_H-M_alt 'P 1'
_space_group_IT_number 1
loop_
_space_group_symop_operation_xyz
'x,y,z'
loop_
_atom_site_label
_atom_site_fract_x
_atom_site_fract_y
_atom_site_fract_z
_atom_site_occupancy
Tb1 0.500 0.250 0.624 1
Tb2 0.500 0.750 0.376 1
Tb3 0.500 0.250 0.124 1
Tb4 0.500 0.750 0.876 1
Nd1 0.000 0.000 0.000 1
Nd2 0.000 0.500 0.500 1
Nd3 0.000 0.501 0.752 1
Nd4 0.000 0.499 0.248 1
Nd5 0.000 0.999 0.252 1
Nd6 0.000 0.001 0.748 1
Nd7 0.500 0.252 0.876 1
Nd8 0.500 0.748 0.124 1
Nd9 0.500 0.248 0.376 1
Nd10 0.500 0.752 0.624 1
Er1 0.000 0.000 0.500 1
Er2 0.000 0.500 0.000 1
```

Record 4
Compound: Co2SbRh
Source: Alexandria
Functional: PBE-GGA
Structure: relaxed

Properties
ΔE_f (raw) in eV/atom: 0.014

CIF file:
```
data_Co2SbRh
_cell_length_a 4.565
_cell_length_b 4.565
_cell_length_c 4.565
_cell_angle_alpha 129.52
_cell_angle_beta 129.52
_cell_angle_gamma 74.17
_space_group_name_H-M_alt 'P 1'
_space_group_IT_number 1
loop_
_space_group_symop_operation_xyz
'x,y,z'
loop_
_atom_site_label
_atom_site_fract_x
_atom_site_fract_y
_atom_site_fract_z
_atom_site_occupancy
Co1 0.000 0.000 0.000 1
Co2 0.500 0.500 0.000 1
Rh1 0.250 0.750 0.500 1
Sb1 0.750 0.250 0.500 1
```

Record 5
Compound: TlP3
Source: Alexandria
Functional: PBE-GGA
-- stop --
Image of Gail Simone
I have read many, many of these first-time published efforts and often, even though some are absolutely at pro levels of production, and have very costly printing and presentation, they lack a purpose, they merely emulate successful comics that already exist... I can't stress this enough. Have something to say.
- Gail Simone
Collection: Stress
Image of Gail Simone
Here's the thing, trust changes everything. Once you know what an artist can do, and you know their commitment level, it opens up the playbook hugely. I have worked with artists I really love, but they may have some small aspect that they hate drawing, or that they don't excel at, and that effectively takes that option off the table.
- Gail Simone
Collection: Hate